One of the most important periods in Western Civilization was the Hundred Years' War between Great Britain and France. The war was not limited to those two powers; the entire region was engulfed in battle. 

The battle for the direction of the Idaho Republican Party, a contest that holds immense significance for our state's future, resembles the war between Britain and France. No matter who emerges victorious in Tuesday's primary, whether it's the instate big business-backed Republicans or the grassroots out-of-state-backed Republicans, it's only the beginning of our own Hundred Year's War.

**The piece is interrupted by records of crystals**
(1)
Simulated powder XRD pattern
Compound: Ta2Ti7Nb2
Radiation: copper Kα
Structure: DFT lattice parameters and positions (PBE)

Atomic structure:
```
11
Lattice="4.724 0.000 0.000 0.000 7.514 0.000 -0.019 0.000 5.668" Properties=species:S:1:pos:R:3 pbc="T T T"
Ta -0.001 0.000 1.435
Ta 4.706 0.000 4.233
Ti 0.000 2.385 0.000
Ti -0.010 2.497 2.834
Ti -0.010 5.017 2.834
Ti 0.000 5.129 0.000
Ti 2.362 0.000 0.000
Ti 2.352 1.286 2.834
Ti 2.352 6.228 2.834
Nb 2.355 3.757 1.372
Nb 2.349 3.757 4.296
```

Most intense lines, 2θ = 10–80°, sorted by position:
- (0 1 0), 11.78°, I 42.4
- (1 1 0), 22.23°, I 100.0
- (0 2 0), 23.68°, I 59.7
- (2 0 0), 38.10°, I 72.4
- (1 1 -2), 38.90°, I 93.0
- (1 1 2), 39.01°, I 92.2
- (0 2 2), 39.84°, I 72.6
- (1 3 0), 40.78°, I 93.9

***

(2)
Simulated powder XRD pattern
Compound: Ta2Ti2Nb3
Radiation: copper Kα
Structure: DFT lattice parameters and positions (PBE)

Atomic structure:
```
7
Lattice="3.318 0.000 0.000 1.614 5.133 0.000 0.018 1.153 7.362" Properties=species:S:1:pos:R:3 pbc="T T T"
Ta 0.830 0.556 1.029
Ta 4.119 5.730 6.332
Ti 0.828 2.687 5.258
Ti 4.121 3.599 2.103
Nb 2.464 4.755 4.187
Nb 2.466 2.567 0.000
Nb 2.485 1.530 3.174
```

Most intense lines, 2θ = 10–80°, sorted by position:
- (0 0 1), 12.02°, I 23.0
- (0 1 0), 17.49°, I 29.3
- (0 1 3), 38.19°, I 53.0
- (1 0 2), 38.34°, I 50.8
- (1 1 -2), 38.56°, I 100.0
- (1 2 1), 38.80°, I 49.1
- (0 2 -1), 39.33°, I 46.8
- (2 1 0), 55.38°, I 17.5

***

(3)
Simulated powder XRD pattern
Compound: Ta6Nb3V
Radiation: copper Kα
Structure: DFT lattice parameters and positions (PBE)

Atomic structure:
```
20
Lattice="8.083 0.000 0.000 0.000 4.653 0.000 -2.705 0.000 9.485" Properties=species:S:1:pos:R:3 pbc="T T T"
Ta -0.685 1.163 3.792
Ta 0.707 3.490 1.861
Ta -0.588 1.163 9.476
Ta 2.030 1.163 2.822
Ta 0.696 3.490 7.679
Ta 1.996 1.163 5.747
Ta 3.381 3.490 3.738
Ta 4.682 1.163 1.806
Ta 3.347 3.490 6.663
Ta 5.965 3.490 0.009
Ta 4.670 1.163 7.624

Republican voters, you've likely been bombarded with a barrage of positive and negative radio ads, text messages, newspaper ads, digital ads, and, yes, costly television ads. The stakes are high-it's about the leadership of our state party. If you align with the direction of the state chairman, the freedom caucus, and the Idaho Freedom Foundation, you'll vote for their slate of candidates. If you prefer the 'nice Republicans', as they call themselves, you'll vote out the current folks along with the chairman.

2024 will be the year of out of state political action committees dedicating millions to unseat Idaho representatives and senators. How big is the influence of out of state money in our local elections? One elected official revealed, "the folks in Dallas, Texas must really care about schools in Idaho."


What's shocking to most Idahoans is how low each side has chosen to attack one another. Idaho is one of the most popular states to move to, yet we have charge and counter-charge against incumbents and challengers. Mental health experts tell us they're concerned about the mental health of so many who are focused on primarily unpaid positions. 

We asked one prominent elected official what he thought about Tuesday's primary. This individual held nothing back. "The Moon folks have done more to destroy the concept of common sense government than any group in the history of the State of Idaho." They continued, "they've interpreted our Constitution as well as the Republican platform in their own image and seek to destroy those who won't swear allegiance to their version of the world."


The real winners are the political consultants who will make large amounts of money treating both the candidates and the public as useful idiots. Idaho deserves better and the war will continue. 

Check Out Creepy Joe Biden Sniffing and Wandering

A preview of the most popular video in some Idaho circles.

Gallery Credit: Kevin Miller

President Biden Arrives in Boise

President Biden is greeted by protesters during his visit to Boise, Idaho.

Gallery Credit: Kevin Miller

Joe Biden's Five Factors of Fearing Idaho

The five issues that cause Joe Biden to fear about Idaho. Could these issues become national?

Gallery Credit: Kevin Miller